Obsessed Love by MINK



“Ican’t eat another bite.” Love puts her fork down and shakes her head.

“I have cake for dessert. Homemade.” Alice rises from her spot at the table.

“You made a cake on top of this stew?” Love rubs her stomach. “I already have a food baby, but if it’s a homemade cake, I’ll go for twins.”

She’s being cute, but the thought of her swollen with my child hits me in all the right places. It puts a smile on my face, one that Alice notices. She gives me a wink before returning to the kitchen.

“This place is huge.” Love leans back in her chair and stares up at the hand-painted ceiling in the dining room. Then she meets my gaze. “You never told me what you do for a living beside kidnapping unwitting police officers.”

“You know how you don’t like breaking the rules? Well, I live for it.” I shrug. “I dabble in illegal goods. I’ll tell you more if you like.”

“I knew it was going to be something shady.” She sighs. “I mean, you were in prison, and you did kidnap a police officer with a disturbingly carefree attitude about it.”

Pikachu jumps into the chair beside her, and she scratches under his chin as he sends me a haughty look.

“It’s shady.” I nod. “And if you want the details, like I said, I’ll tell you.”

“Maybe later. Right now, I want you to tell me why you were in prison and what revenge you’ve been talking about. You owe me.”

“I do.” I check my watch.

“You have somewhere to be?” she asks. “When it’s my turn for you to spill?”

“I’m not going anywhere at the moment.” I put my arm around the back of her chair and pull her close to my side.

Pikachu glares at me.

“I went to prison for murder.”

She stiffens.

“One I didn’t commit.”

“Oh.” She seems to let out a breath. “Good.”

No point mentioning all the murders I have committed just yet. “I was set up by one of my closest business associates, Massimo. He tried to kill me, failed, then committed a murder and framed me for it. Paid all the right people in all the right places to get me convicted.”

“He tried to kill you?”

“When you pulled me over and I told you I had an old injury that limited movement in my left arm? That wasn’t a lie. He stabbed me in the back, literally. But I recovered, and I was going to come after him, so he set me up.”

“He sounds really bad.”

“Almost as bad as me.” I fork her another bite of stew.

She takes it. “So good. But I have to stop.”

I kiss her hair. “I’m going to take Massimo out, and I’m going to make it hurt. He wanted my territory, my everything—he’s going to get some of it. A nice little spot I already picked out under a dead crabapple tree at the edge of my property.” I smile thinking about how I’m going to dump his dismembered body into that dark hole.

“Yikes.” Her eyes are wide. “I mean, I understand, but also, yikes.”

She’s so fucking cute. Does she have any idea how cute she is?

Ali strides in, his dark hair a mess. That means he’s stressed. I don’t blame him.

“Hey.” He stops when he sees Love.

“Ali, this is Love. Love, this is Ali. He’s like a brother to me. You can trust him.” I cut him a glance.

He recovers from his surprise and sits in his usual spot. “Is this that red wine stew Alice makes?” He scoops himself a big helping from the pot. “I love it.”

“She’s bringing cake, too,” Love adds nervously.

“Don’t worry,” I whisper in her ear. “He wanted to kill Massimo for me, but I made him wait until I got out. He’s loyal. A good man in a bad man’s business.”

Ali’s eyes roll back as he tastes the stew. “Man, I needed this.”

“What’s wrong?”

Ali glances at Love. “Nothing.”

“You can speak freely in front of her. She knows I’m not on the up and up. I did kidnap her, after all.”

Ali chokes on his stew, sputtering as he brings his napkin to his mouth.

“Are you okay?” Love starts to stand.

“He’s fine.” I keep her by my side. Ali may be like a brother to me, but I want Love’s attention all for myself. So does Pikachu, because he jumps onto the table right in front of her. Three males vying for her attention, it would seem.

“Pikachu, not on the table.” She shoos him off as Alice returns with a carrot cake. Ali recovers and takes a big drink of his wine.

Love’s eyes light up when she sees the cream cheese icing with the giant orange carrot design on top. “My favorite.”

“Mine too.” I kiss the back of her hand.

“Give her an extra large slice,” I tell Alice as I rise.

“Where are you going?” Love looks up at me.

“I have some business to handle.”

“Need me, boss?” Ali wipes his mouth and eyes the cake with longing.

“No, stay here. You already helped plenty.”

He nods, well aware of where I’m going. He’s the one who found Love’s old instructor. Brad Garviss. He lives over an hour away, but I’ve got the time. I’ll always have the time to deal with trash like him.

“Don’t try to run away.” I lean over and kiss Love full on the mouth.

-- Misplaced materials data --
Record 1
# Y2MoO6, relaxed, DFT PBE with a Hubbard U
# Formation enthalpy at 0 K (meV/atom): -3163
data_Y2MoO6
_chemical_formula_sum 'Y16 Mo8 O48'
_space_group_name_H-M_alt 'C 1 2/c 1'
_space_group_IT_number 15
_space_group_name_Hall '-C 2yc'
_cell_length_a 16.565
_cell_length_b 11.173
_cell_length_c 5.421
_cell_angle_alpha 90.00
_cell_angle_beta 108.36
_cell_angle_gamma 90.00
loop_
_atom_site_label
_atom_site_fract_x
_atom_site_fract_y
_atom_site_fract_z
Y1 0.000 0.107 0.250
Y2 0.000 0.364 0.750
Y3 0.168 0.116 0.878
Mo1 0.154 0.359 0.441
O1 0.072 0.235 0.583
O2 0.079 0.469 0.486
O3 0.092 0.019 0.078
O4 0.106 0.279 0.132
O5 0.228 0.297 0.746
O6 0.236 0.447 0.365

Record 2
# HoMgV2O6, relaxed, DFT PBE with a Hubbard U
# Formation enthalpy at 0 K (meV/atom): -2986
data_HoMgV2O6
_chemical_formula_sum 'Ho2 Mg2 V4 O12'
_space_group_name_H-M_alt 'P 1'
_space_group_IT_number 1
_space_group_name_Hall 'P 1'
_cell_length_a 5.213
_cell_length_b 5.474
_cell_length_c 7.592
_cell_angle_alpha 89.80
_cell_angle_beta 89.91
_cell_angle_gamma 89.82
loop_
_atom_site_label
_atom_site_fract_x
_atom_site_fract_y
_atom_site_fract_z
Ho1 0.000 0.000 0.000
Ho2 0.498 0.364 0.499
Mg1 0.474 0.482 0.999
Mg2 0.968 0.876 0.497
V1 0.482 0.923 0.250
V2 0.483 0.923 0.749
V3 0.983 0.439 0.749
V4 0.984 0.437 0.249
O1 0.093 0.492 0.498
O2 0.182 0.732 0.183
O3 0.190 0.748 0.806
O4 0.300 0.244 0.811
O5 0.314 0.228 0.188
O6 0.350 0.974 0.497
O7 0.599 0.871 0.999
O8 0.666 0.643 0.310
O9 0.673 0.629 0.686
O10 0.782 0.111 0.689
O11 0.798 0.122 0.313
O12 0.858 0.391 0.000

Record 3
# Li2Ti3FeO8, relaxed, DFT PBE with a Hubbard U
# Formation enthalpy at 0 K (meV/atom): -3000
# E above lowest polymorph (eV/atom): 0.000
data_Li2Ti3FeO8
_chemical_formula_sum 'Li8 Ti12 Fe4 O32'
_space_group_name_H-M_alt 'P 1'
_space_group_IT_number 1
_space_group_name_Hall 'P 1'
_cell_length_a 8.514
_cell_length_b 8.515
_cell_length_c 8.517
_cell_angle_alpha 89.79
_cell_angle_beta 89.81
_cell_angle_gamma 89.94
loop_
_atom_site_label
_atom_site_fract_x
_atom_site_fract_y
_atom_site_fract_z
Li1 0.000 0.000 0.000
Li2 0.000 0.500 0.499
Li3 0.249 0.750 0.750
Li4 0.252 0.249 0.248
Li5 0.498 0.997 0.498
Li6 0.501 0.498 0.001
Li7 0.749 0.749 0.250
Li8 0.752 0.251 0.751
Ti1 0.125 0.882 0.371
Ti2 0.126 0.379 0.871
Ti3 0.127 0.120 0.631
Ti4 0.369 0.623 0.379
Ti5 0.377 0.868 0.121
Ti6 0.379 0.126 0.874
Ti7 0.623 0.126 0.126
Ti8 0.624 0.371 0.376
Ti9 0.629 0.624 0.619
Ti10 0.869 0.625 0.878
Ti11 0.872 0.877 0.624
Ti12 0.881 0.373 0.128
Fe1 0.124 0.625 0.125
Fe2 0.375 0.375 0.625
Fe3 0.625 0.874 0.875
Fe4 0.876 0.124 0.375
O1 0.103 0.370 0.107
O2 0.109 0.602 0.876
O3 0.113 0.888 0.613
O4 0.125 0.352 0.642
O5 0.126 0.108 0.398
O6 0.137 0.136 0.861
O7 0.142 0.877 0.148
O8 0.147 0.640 0.373
O9 0.352 0.356 0.879
O10 0.358 0.123 0.646
O11 0.361 0.861 0.362
O12 0.371 0.893 0.897
O13 0.380 0.646 0.142
O14 0.389 0.113 0.111
O15 0.394 0.397 0.371
O16 0.397 0.625 0.608
O17 0.605 0.125 0.891
O18 0.609 0.897 0.125
O19 0.614 0.612 0.389

She makes a squeaky sound, probably uncomfortable kissing me in front of Ali and Alice, but she’ll have to get used to it. And she does, soon opening her mouth for me so I can slide my tongue in and taste the icing. She’s delicious. Sugar coated in sugar.

When I pull back, her cheeks are pink, Alice is grinning, and Ali is looking intently at his food.

“I don’t run unless something’s chasing me,” Love says.

“Don’t give me ideas.” I kiss her once more, then stand.

She blushes even more, and Alice starts chatting with her about the house.

Knowing that Love will be here waiting for me speeds me along. But business is business, and this asshole Brad Garviss is now my business.

* * *

It’s late when I return. About three in the morning when I finally get out of my car and stroll through the quiet house. Each step takes me closer to Love, to where she lies in our bed. I’ve thought about her the entire time I was doing my dirty work.

Brad remembered her. I didn’t even have to remove any fingers for him to confess. He was weak and stupid, but I still enjoyed killing him. Prison didn’t make me ruthless; I was already well acquainted with what it takes to make it to the top of my world.

I didn’t come from one of the big families or have a name that meant anything, so I had to work for it. Doing dirty work for families like Massimo’s until I could climb the ranks.

She’s asleep in our bed, her little ball of rage and fur curled up beside her. I like it that he protects her when I’m gone, though we’re still going to need some boundaries. After all, Love is mine. I stole her fair and square.

I hit the shower, Brad’s blood running off me as steam fills the room. The familiar ache in my left shoulder is back, a constant reminder of how fleeting loyalty can be. I’d gotten too comfortable when I’d gotten to the top of the game. I know that now. It’s the reason Massimo was able to get close. Hubris. It’s always pride before the fall. And fuck, did I fall and then some.

But now, I see a way forward. One with Massimo dead at my feet and Love by my side. Love. I smile. I know her full name, but I don’t use it. Not until she tells me I can. I want her permission for that, and for her to take my last name when the time comes.

I finish soaping up, then turn.

I stop, my body going taut as I find Love in the bathroom, her mouth open as she stares at my hardening cock.